Assignment:
Next, type out the part of the entries further below that starts with the line with "0.000 0.236" and stops after the one with "Compound: Ca2Ni7P4".
Listing:
/*
## SrLaSi2 (GGA-PBE)

Data for a relaxed SrLaSi2 crystal.

Structure (POSCAR):
```
SrLaSi2
1.0
3.6343 0.0000 0.0000
0.0000 5.1806 0.0000
0.0000 0.0000 6.2574
Si Sr La
2 1 1
direct
0.5000 0.5000 0.3748
0.0000 0.0000 0.8751
0.0000 0.0000 0.3751
0.5000 0.5000 0.8750
```

Results
DOS at the Fermi energy = 4.40 states/eV per cell
E = -17.89 eV for the cell shown
offset from the most stable computed form = 471.9 meV/atom

~~~~~

DFT (PBE) results for a relaxed Na2MgC crystal.

Distance to the lowest polymorph of the same formula in meV per atom: 0
Magnetization in μB/f.u.: 0.00
Total DFT energy (no corrections) in eV per formula unit: -10.78
Energy relative to the elements in eV/atom: 0.669
DOS(E_F) in states/eV per cell: 5.9

```
data_Na2MgC
_space_group_name_H-M_alt 'I -4 2 d'
_space_group_IT_number 122
_space_group_name_Hall 'I -4 2bw'
_cell_length_a 10.097
_cell_length_b 10.097
_cell_length_c 4.162
_cell_angle_alpha 90.00
_cell_angle_beta 90.00
_cell_angle_gamma 90.00
loop_
_atom_site_label
_atom_site_fract_x
_atom_site_fract_y
_atom_site_fract_z
Na1 0.049 0.250 0.125
Mg1 0.000 0.000 0.500
C1 0.000 0.000 0.000
```

DFT (PBE) results for a relaxed Sm3Ga3Ni crystal.

Magnetization in μB/f.u.: 0.00
Total DFT energy (no corrections) in eV per formula unit: -33.05
Energy relative to the elements in eV/atom: -0.576
DOS(E_F) in states/eV per cell: 26.6

```
data_Sm3Ga3Ni
_space_group_name_H-M_alt 'C 1 2/m 1'
_space_group_IT_number 12
_cell_length_a 10.924
_cell_length_b 4.334
_cell_length_c 14.383
_cell_angle_alpha 90.00
_cell_angle_beta 110.00
_cell_angle_gamma 90.00
loop_
_space_group_symop_operation_xyz
'x,y,z'
'-x,-y,-z'
'-x,y,-z'
'x,-y,z'
'x+1/2,y+1/2,z'
'-x+1/2,-y+1/2,-z'
'-x+1/2,y+1/2,-z'
'x+1/2,-y+1/2,z'
loop_
_atom_site_label
_atom_site_fract_x
_atom_site_fract_y
_atom_site_fract_z
Sm1 0.028 0.000 0.386
Sm2 0.107 0.000 0.921
Sm3 0.242 0.000 0.236
Ga1 0.039 0.500 0.238
Ga2 0.107 0.500 0.076
Ga3 0.155 0.500 0.540
Ni1 0.246 0.500 0.396
```

DFT (PBE) results for a relaxed AlRuAu4 crystal.

Magnetization in μB/f.u.: 1.42
Total DFT energy (no corrections) in eV per formula unit: -23.26
Energy relative to the elements in eV/atom: 0.479
DOS(E_F) in states/eV per cell: 23.1

```
data_AlRuAu4
_space_group_name_H-M_alt 'F -4 3 m'
_space_group_IT_number 216
_space_group_name_Hall 'F -4 2 3'
_cell_length_a 7.646
_cell_length_b 7.646
_cell_length_c 7.646
_cell_angle_alpha 90.00
_cell_angle_beta 90.00
_cell_angle_gamma 90.00
loop_
_atom_site_label
_atom_site_fract_x
_atom_site_fract_y
_atom_site_fract_z
Al1 0.000 0.000 0.000
Ru1 0.250 0.250 0.250
Au1 0.125 0.125 0.625
```

DFT (PBE) results for a relaxed LiTh2Ga3Ni4 crystal.

Magnetization in μB/f.u.: 0.00
Total DFT energy (no corrections) in eV per formula unit: -53.71
Energy relative to the elements in eV/atom: -0.475
DOS(E_F) in states/eV per cell: 7.6

```
data_LiTh2Ga3Ni4
_space_group_name_H-M_alt 'P -4 m 2'
_space_group_IT_number 115
_cell_length_a 3.998
_cell_length_b 3.998
_cell_length_c 10.669
_cell_angle_alpha 90.00
_cell_angle_beta 90.00
_cell_angle_gamma 90.00
loop_
_space_group_symop_operation_xyz
'x,y,z'
'y,-x,-z'
'-x,-y,z'
'-y,x,-z'
'-x,y,z'
'-y,-x,-z'
'x,-y,z'
'y,x,-z'
loop_
_atom_site_label
_atom_site_fract_x
_atom_site_fract_y
_atom_site_fract_z
Li1 0.000 0.000 0.000
Th1 0.000 0.500 0.748
Ga1 0.000 0.500 0.378
Ga2 0.500 0.500 0.000
Ni1 0.000 0.000 0.500
Ni2 0.000 0.500 0.148
Ni3 0.500 0.500 0.500
```

~~~~~

Record 1
Compound: Ca2Ni7P4
Source: Alexandria via LeMat-Bulk
Functional: meta-GGA SCAN
Structure: PBEsol geometry

Unit cell a=3.6359 b=9.0760 c=10.2340 alpha=90.00 beta=90.00 gamma=90.00
With the nearest neighbours (Å) after each atom.
Space group Pmn2_1 (No. 31)
Symmetry-distinct sites (fractional):
Ca1 0.0000 0.0602 0.0000 (multiplicity 2)  6 P 2.79-2.85, 9 Ni 2.90-3.10
Ca2 0.0000 0.4387 0.7825 (multiplicity 2)  5 P 2.90-2.99, 11 Ni 2.93-3.22
Ni1 0.0000 0.0595 0.3058 (multiplicity 2)  4 P 2.25-2.35, 1 Ni 2.45
*/
Outcome:
Sm3 0.242 0.000 0.236
Ga1 0.039 0.500 0.238
Ga2 0.107 0.500 0.076
Ga3 0.155 0.500 0.540
Ni1 0.246 0.500 0.396
```

DFT (PBE) results for a relaxed AlRuAu4 crystal.

Magnetization in μB/f.u.: 1.42
Total DFT energy (no corrections) in eV per formula unit: -23.26
Energy relative to the elements in eV/atom: 0.479
DOS(E_F) in states/eV per cell: 23.1

```
data_AlRuAu4
_space_group_name_H-M_alt 'F -4 3 m'
_space_group_IT_number 216
_space_group_name_Hall 'F -4 2 3'
_cell_length_a 7.646
_cell_length_b 7.646
_cell_length_c 7.646
_cell_angle_alpha 90.00
_cell_angle_beta 90.00
_cell_angle_gamma 90.00
loop_
_atom_site_label
_atom_site_fract_x
_atom_site_fract_y
_atom_site_fract_z
Al1 0.000 0.000 0.000
Ru1 0.250 0.250 0.250
Au1 0.125 0.125 0.625
```

DFT (PBE) results for a relaxed LiTh2Ga3Ni4 crystal.

Magnetization in μB/f.u.: 0.00
Total DFT energy (no corrections) in eV per formula unit: -53.71
Energy relative to the elements in eV/atom: -0.475
DOS(E_F) in states/eV per cell: 7.6

```
data_LiTh2Ga3Ni4
_space_group_name_H-M_alt 'P -4 m 2'
_space_group_IT_number 115
_cell_length_a 3.998
_cell_length_b 3.998
_cell_length_c 10.669
_cell_angle_alpha 90.00
_cell_angle_beta 90.00
_cell_angle_gamma 90.00
loop_
_space_group_symop_operation_xyz
'x,y,z'
'y,-x,-z'
'-x,-y,z'
'-y,x,-z'
'-x,y,z'
'-y,-x,-z'
'x,-y,z'
'y,x,-z'
loop_
_atom_site_label
_atom_site_fract_x
_atom_site_fract_y
_atom_site_fract_z
Li1 0.000 0.000 0.000
Th1 0.000 0.500 0.748
Ga1 0.000 0.500 0.378
Ga2 0.500 0.500 0.000
Ni1 0.000 0.000 0.500
Ni2 0.000 0.500 0.148
Ni3 0.500 0.500 0.500
```

~~~~~

Record 1
Compound: Ca2Ni7P4